1. Introduction
Maize kernel processing evaluation is an important step in determining the quality of silage harvested from a forage harvester. Maize silage is used as fodder for cattle in dairy production and high quality silage though correct processing has an effect on milk yield [
1] and suboptimal setting of the machinery can also lead to the quality being affected by up to 25% [
2]. Kernels must be sufficiently cracked for efficient starch intake by lowering the requirement for chewing during eating and ruminating [
3]. Kernels are processing by two mill rolls which compress and shear the plant. The gap known as the Processor Gap (PG) is often between 1 and 4 mm with 0.1 mm increments. This work focuses on the evaluation of kernel processing for silage quality efficiently through deep learning computer vision based methods via Convolutional Neural Networks (CNNs). Currently, the particle size distribution of kernel processing is evaluated through means which can be time consuming, cumbersome to conduct, and prone to error. An example of this is the Corn Silage Processing Score (CSPS) [
3] and is one of the major standards in kernel processing evaluation. CSPS gives an analytical measurement of the kernel processing though laboratory equipment situated offsite typically returning a measurement after a number of days. In CSPS the user places a 160 g dried sample of harvested silage on a Ro-Tap sieving system which oscillates to allow processed kernels to pass through a number of differently sized sieve screens. The materials that pass through a 4.75 mm sieve can be measured for starch content and the percentage of this that passes is the CSPS. Particles larger than this size may result in a slow starch digestion in cattle and increase chewing requirement. The CSPS can be interpreted according to [
3] as greater than 70% is optimal processing, between 50% and 70% is adequate processing and less than 50% is considered inadequate processing. An additional finer sieve screen of 1.18 mm can be used to determine the number of over-processed kernels. The starch content in such fragments can simply pass through the cow’s rumen, leading to wasted plant.
Another commonly used method for assessing kernel processing is the Penn State Particle Separator (PSPS) [
4]. PSPS is similar to CSPS, however, does not require off-site laboratory equipment such as the Ro-Tap system or drying of the silage before starting the measurement process. Therefore, PSPS is able to give a farmer a much quicker indication of the kernel processing from the forage harvester. In PSPS three or four stacked trays with varying gaps are used to separate the kernel particles. The sample is placed in the top tray and the stack is shook a total of 40 times at a rate of one shake per second. After this, the weight of each tray is measured and is used to determine the distribution of kernel processing in the sample. Despite PSPS being more flexible than CSPS, the method is sensitive to the rate of shaking and moisture content, potentially giving a less accurate measurement.
The water separation method [
5] can also be an effective method for a farmer to conduct a quick assessment of the kernel processing. Here, the total number of whole kernels in a 1-quart (946 mL) sample is evaluated. If more than one whole kernel per quart is found, the kernel processing is deemed not optimal. The method begins by placing the sample in a container filled with water. Then the sample is stirred gently until the stover, such as leaves and stalks, float and the kernels sink. Afterwards the stover and water is removed from which the number of whole kernels can be counted.
As mentioned, the aforementioned current kernel processing assessment methods are relatively time-consuming and can require potentially error-some manual steps. There has been minimal work done in automating this process and to our knowledge only one such exists. In this work computer vision is used to calculate the kernel particle size distribution [
• The entry is interrupted by materials data:
~~~
# 1
Computed, not measured: a relaxed structure of LiLa2Au at the PBE level of DFT.

## Properties
* energy of formation: -0.318 eV/atom

Cell: 3.772 3.772 7.641 Å, 90.00 90.00 90.00°
Positions (direct):
Li 0.000 0.000 0.000
La 0.000 0.000 0.394
La 0.500 0.500 0.732
Au 0.500 0.500 0.159

=====

# 2
Computed, not measured: a relaxed structure of LiLaAu2 at the PBE level of DFT.

## Properties
* energy of formation: -0.729 eV/atom

Cell: 5.574 5.574 5.574 Å, 49.06 49.06 49.06°
Positions (direct):
Li 0.000 0.000 0.000
La 0.500 0.500 0.500
Au 0.284 0.284 0.284
Au 0.716 0.716 0.716

=====

# 3
Computed, not measured: a relaxed structure of LiLa2Au at the PBE level of DFT.

## Properties
* energy of formation: -0.192 eV/atom

Cell: 9.852 9.852 9.852 Å, 23.09 23.09 23.09°
Positions (direct):
Li 0.000 0.000 0.000
La 0.238 0.238 0.238
La 0.762 0.762 0.762
Au 0.500 0.500 0.500

=====

# 4
Computed, not measured: a relaxed structure of LiLa2Au at the PBE level of DFT.

## Properties
* energy of formation: -0.311 eV/atom

Cell: 4.626 4.626 6.548 Å, 110.79 110.79 60.06°
Positions (direct):
Li 0.000 0.000 0.000
La 0.233 0.233 0.701
La 0.431 0.431 0.291
Au 0.660 0.660 0.982

=====

# 5
Computed, not measured: a relaxed structure of Li2La3Au3 at the PBE level of DFT.

## Properties
* energy of formation: -0.588 eV/atom

Cell: 8.993 8.993 5.903 Å, 90.00 90.00 120.00°
Positions (direct):
Li 0.333 0.667 0.000
Li 0.333 0.667 0.500
Li 0.667 0.333 0.000
Li 0.667 0.333 0.500
La 0.000 0.270 0.250
La 0.000 0.730 0.750
La 0.270 0.000 0.250
La 0.270 0.270 0.750
La 0.730 0.000 0.750
La 0.730 0.730 0.250
Au 0.000 0.393 0.750
Au 0.000 0.607 0.250
Au 0.393 0.000 0.750
Au 0.393 0.393 0.250
Au 0.607 0.000 0.250
Au 0.607 0.607 0.750

=====

# 6
Computed, not measured: a relaxed structure of LiLa2Au at the PBE level of DFT.

## Properties
* energy of formation: -0.359 eV/atom

Cell: 5.276 5.276 3.923 Å, 90.00 90.00 90.00°
Positions (direct):
Li 0.000 0.000 0.000
La 0.000 0.500 0.500
La 0.500 0.000 0.500
Au 0.500 0.500 0.000

=====

# 7
Computed, not measured: a relaxed structure of Li2LaAu at the PBE level of DFT.

## Properties
* energy of formation: -0.252 eV/atom

Cell: 10.969 10.969 10.969 Å, 157.43 157.43 32.13°
Positions (direct):
Li 0.040 0.625 0.915
Li 0.375 0.290 0.415
Li 0.710 0.125 0.085
Li 0.875 0.960 0.585
La 0.250 0.750 0.500
La 0.500 0.500 0.000
Au 0.000 0.000 0.000
Au 0.750 0.250 0.500

=====

# 8
Computed, not measured: a relaxed structure of LiLaAu2 at the PBE level of DFT.

## Properties
* energy of formation: -0.475 eV/atom

Cell: 3.903 3.903 6.218 Å, 90.00 90.00 90.00°
Positions (direct):
Li 0.000 0.000 0.000
La 0.500 0.500 0.618
Au 0.000 0.000 0.411
Au 0.500 0.500 0.112

=====

Entry from the Alexandria database: a relaxed structure of PtBr2 (GGA-PBE).

Unit cell a=8.2907 b=7.2851 c=4.7182 alpha=84.49 beta=61.00 gamma=34.50
Fractional positions:
1 Pt 0.0000 0.0000 0.0000
2 Br 0.3827 0.3827 0.6173
3 Br 0.6173 0.6173 0.3827

Computed properties:
~~~
6]. In the method, first kernels must be separated from the stover using a method such as water separation. After this, the kernels are placed without touching any other samples on a dark background together with a common coin whose size is known, such as a penny. The coin can then be used as a reference later on in the system to calculate the kernel sizes. An image is captured and the contours of the kernel particles are found via image processing. Then the maximum inscribed circle is found for each particle in pixels which is converted to a kernel particle size distribution in millimetres. Metrics such as the percentage of particles smaller than 4.75 mm or average area give an indication to the user of kernel processing quality.
Looking into the broader domain, there is a large amount of research into measuring the quality of other crops. Firstly, the grades of product are determined by calculating rice kernel shape and size features and training a support vector machine [
8]. Additionally, in [
9] rice colour features and Fourier descriptors for shape and size are extracted from which the quality grade is determined through multivariate statistical analysis. A number of methods identify whole or broken fragments in grains. In [
10], the size, color and brightness values are used in combination with a flatbed scanning device. In [
11], rice is segmented based on color, and shape features indicate the grade of the crop. Classification of the grains in the image can be necessary when different grain types are mixed. Artificial neural networks have been used to classify types based upon extracted handcrafted features. In [
12] color and texture features, in [
13] size, color, and shape features, and in [
14] color and morphological features were used to train networks respectively. K-Nearest Neighbor classifiers were trained on size and texture features in [
16], with a number of color models being used in the latter. The quality of maize seeds was evaluated in [
17] using hyperspectral imaging where data was reduced through t-distributed stochastic neighbourhood embedding and Fischer’s discriminant analysis for quality classification.
The works mentioned so far all follow that traditional computer vision approach of extracting hand-crafted features followed by using a classifier to make a decision on the task at hand. However, since 2012 when AlexNet [
18] won the ImageNet classification challenge by a significant margin, deep learning with CNNs has dominated the field. Object recognition in images is a challenging task due to potential variations in objects, such as the colour, texture, shape, and size, and variations in images, such as the lighting, viewpoint, and occlusion. CNNs have been shown to learn complex patterns in data through a hierarchy of layers. Typically earlier CNN layers capture simple patterns such as the edges, while later layers learn more complex representations such as the shape of specific objects. This hierarchy has the potential to learn a powerful model given high quality data. There are numerous examples of machine vision with deep learning in agriculture that show good results and in many cases a significant improvement over using hand-crafted features. Examples include [
19], where fully convolutional neural networks were trained to predict a semantic segmentation map of clover, grass, and weeds in RGB images containing clover-grass mixtures to estimate the distribution of the classes in the field. Here, they account for the potentially large amount of training data required for CNNs, as it was observed the annotation could take up to 3.5 h for 10 images. New images were simulated by combining augmented objects from those already annotated on top of captured background images. A deep learning approach to detect tomato plant diseases and pests was done in [
20], where a number of popular models was evaluated for the task. In [
21] a CNN and random forest classifier was trained to classify 32 different species of leaves. Plant disease detection of 14 different crop species including 26 diseases was done in [
22] using CNNs and a number of different feature extractors such as AlexNet [
18]. Crop and weed detection using CNNs was done in [
23] on a combination of RGB and near-infrared data.
The aim of this work is to create a system to localise kernels fragments in RGB images for kernel processing assessment without the requirement separation of stover and kernels such as in [
6]. Such a system will allow the farmer to gain an insight into the quality of the kernel processing without the need to perform a time-consuming and cumbersome process. We propose to train CNNs in both a bounding-box detector and instance segmentation form to automatically detect and localise kernel fragments in the challenging images. Examples of the images used in this work are shown in the following section in Figure 3. The methodology in training the aforementioned networks will be covered in
Section 2 and the achieved results in
Section 3.
An example of the difference between separated kernel/stover images such as those typically used in [
6] and non-separated used in this work can be seen in
Figure 1. Additional white outlines in
Figure 1b represent the outline of kernel fragments.
4. Discussion
The potential to train CNN models for kernel fragment recognition in RGB images of silage is promising. This appears to be the case even without conducting the time-consuming step of separating kernels and stover before evaluation, as in all current popular kernel fragmentation evaluation methods [
The four models trained in both R-FCN bounding-box and MNC instance segmentation performed well and two major tendencies appeared. Firstly and possibly unsurprisingly, a larger training dataset, such as that of 151617, led to models that performed well across all metrics on all test sets. Deep learning methods are known to have a high requirement on the amount of data and the roughly 10× larger 151617 training set in comparison to the 2015 and 2016 sets seemed to show this effect. However, a total of 1393 images with 6907 annotated kernel instances is not on the same level as considerably larger object recognition benchmarks such as PASCAL VOC [
27] or MS COCO [
28] consisting of over 10,000 and 165,000 images for training respectively. The trained R-FCN and MNC models of course take advantage of transfer learning from a pre-trained models on ImageNet datasets. With this aid, roughly 1400 annotated training images in 151617 set gave consistent results across test images from three different harvest years. Additionally, the second finding was of the at times significant improvement when adding only a small amount of data to a larger dataset. This was seen for the models trained on the 151617 dataset for test sets 2015 and 2016, where despite the additional data being in the minority during training in contrast to images from 2017, they had a large increase in performance compared to models that did not combine all of the data.
With respect to the viability of using a CNN-based model for KPS measurement, both methods can be deemed to have potential. A strong positive correlation was found between annotation KPS and model KPS, with the strongest existing for the 151617 R-FCN model. A criticism of the correlation analysis is naturally that this was against annotation KPS and not a truer laboratory measurement than in [
6]. However, as the training and testing splits were kept separate, the correlation results still give a good indication for the approaches.
In comparison to [
6] who show KPS measurement given manually separated kernels in a controlled camera setting, the error measurement across sequences is similar to our work. KPS based on image analysis from wet samples from the field from [
6] show an average absolute error of 5.6% in comparison to our range of 2.7% to 7.2% dependent on the model and test set. Of course, care should be taken comparing the two works given the differences in ground truth measurement, location of harvesting, the machine, and so forth. A key improvement in this work is the time required to obtain a KPS measurement. In [
6] the time was improved to hours instead of days as in [
3], however, due to removing the requirement of kernel/stover separation, this work allows KPS calculation to be done in minutes.
Future work is to evaluate against a laboratory measured KPS as mentioned earlier. Furthermore, research into applying newer object recognition methods from the fast-moving field may also be viable, potentially improving challenges such as recognition of small objects. Finally, such CNN-based methods could be used to measure other silage-quality aspects, such as the cutting length of the forage harvester.